# Brief
Could you print all of the notes further below unchanged?

# Given
********
1.
DFT (PBE) results for a geometry-optimized Cu3Sn structure.

Calculated values
**E_form**: 0.00 eV per atom

```
Cu3Sn
1.0
5.540 0.000 0.000
-2.770 4.798 0.000
0.000 0.000 4.350
Cu Sn
6 2
Direct
0.156 0.312 0.250
0.156 0.844 0.250
0.312 0.156 0.750
0.688 0.844 0.250
0.844 0.156 0.750
0.844 0.688 0.750
0.333 0.667 0.750
0.667 0.333 0.250
```



2.
DFT (PBE) results for a geometry-optimized CuSn3 structure.

Calculated values
**Magnetization**: 0.0 μB per formula unit
**E_form**: 0.23 eV per atom
**Relative energy among the computed polymorphs**: 0.008 eV/atom

```
CuSn3
1.0
-2.240 2.240 4.871
2.240 -2.240 4.871
2.240 2.240 -4.871
Cu Sn
1 3
Direct
0.000 0.000 0.000
0.250 0.750 0.500
0.500 0.500 0.000
0.750 0.250 0.500
```



3.
DFT (PBE) results for a geometry-optimized Cu5Sn4 structure.

Calculated values
**E_form**: -0.01 eV per atom
**Relative energy among the computed polymorphs**: 0.004 eV/atom

```
Cu5Sn4
1.0
6.418 -3.701 0.000
6.418 3.701 0.000
-0.059 0.000 10.309
Cu Sn
15 12
Direct
0.000 0.000 0.000
0.298 0.024 0.874
0.311 0.026 0.623
0.325 0.008 0.126
0.339 0.008 0.377
0.651 0.007 0.250
0.658 0.325 0.377
0.675 0.310 0.126
0.675 0.342 0.623
0.690 0.325 0.874
0.974 0.689 0.377
0.976 0.702 0.126
0.992 0.661 0.623
0.992 0.675 0.874
0.993 0.349 0.750
0.017 0.001 0.268
0.301 0.372 0.249
0.330 0.670 0.500
0.350 0.351 0.751
0.357 0.643 0.000
0.628 0.699 0.751
0.635 0.008 0.981
0.649 0.650 0.249
0.654 0.009 0.519
0.991 0.346 0.481
0.992 0.365 0.019
0.999 0.983 0.732
```

=====

Entry 1:
Tl5Se3: optimized geometry, PBE.

## Properties
- E (MP2020): -3.299 eV per atom
- Crystal system: tetragonal
- Excess energy over the best structure of this formula in the dataset: 0.0 meV per atom

```
data_Tl5Se3
_chemical_formula_sum 'Tl20 Se12'
_symmetry_space_group_name_H-M 'P 4/n'
_symmetry_Int_Tables_number 85
_cell_length_a 8.490
_cell_length_b 8.490
_cell_length_c 13.592
_cell_angle_alpha 90.00
_cell_angle_beta 90.00
_cell_angle_gamma 90.00
loop_
_symmetry_equiv_pos_as_xyz
'x,y,z'
'-x,-y,-z'
'-y+1/2,x,z'
'y+1/2,-x,-z'
'-x+1/2,-y+1/2,z'
'x+1/2,y+1/2,-z'
'y,-x+1/2,z'
'-y,x+1/2,-z'
loop_
_atom_site_label
_atom_site_fract_x
_atom_site_fract_y
_atom_site_fract_z
_atom_site_occupancy
Tl1 0.074 0.871 0.099 1
Tl2 0.081 0.625 0.600 1
Tl3 0.250 0.250 0.209 1
Tl4 0.250 0.250 0.708 1
Se1 0.069 0.599 0.254 1
Se2 0.250 0.250 0.499 1
Se3 0.250 0.250 0.984 1
```

***

Entry 2:
SbH8N2F5: optimized geometry, PBE.

## Properties
- E (MP2020): -5.006 eV per atom
- Spin magnetization: 0.001 Bohr magnetons per cell
- Crystal system: monoclinic

```
data_SbH8N2F5
_chemical_formula_sum 'Sb2 H16 N4 F10'
_symmetry_space_group_name_H-M 'P 1 21/m 1'
_symmetry_Int_Tables_number 11
_cell_length_a 6.449
_cell_length_b 6.799
_cell_length_c 8.217
_cell_angle_alpha 90.00
_cell_angle_beta 111.55
_cell_angle_gamma 90.00
loop_
_symmetry_equiv_pos_as_xyz
'x,y,z'
'-x,-y,-z'
'-x,y+1/2,-z'
'x,-y+1/2,z'
loop_
_atom_site_label
_atom_site_fract_x
_atom_site_fract_y
_atom_site_fract_z
_atom_site_occupancy
Sb1 0.093 0.250 0.181 1
H1 0.152 0.750 0.567 1
H2 0.206 0.626 0.410 1
H3 0.279 0.250 0.825 1
H4 0.411 0.750 0.563 1
H5 0.490 0.625 0.170 1
H6 0.493 0.750 0.991 1
N1 0.244 0.750 0.487 1
N2 0.450 0.250 0.875 1
F1 0.104 0.539 0.763 1
F2 0.226 0.250 0.440 1
F3 0.355 0.035 0.235 1
```

***

Entry 3:
BaTbEuBiO6: optimized geometry, PBE.

## Properties
- E (MP2020): -7.859 eV per atom
- Spin magnetization: 13.648 Bohr magnetons per cell
- Crystal system: orthorhombic
- Excess energy over the best structure of this formula in the dataset: 18.0 meV per atom

```
data_BaTbEuBiO6
_chemical_formula_sum 'Ba4 Tb4 Eu4 Bi4 O24'
_symmetry_space_group_name_H-M 'P 2 2 2'
_symmetry_Int_Tables_number 16
_cell_length_a 8.687
_cell_length_b 8.702
_cell_length_c 8.778
_cell_angle_alpha 90.00
_cell_angle_beta 90.00
_cell_angle_gamma 90.00
loop_
_symmetry_equiv_pos_as_xyz
'x,y,z'
'-x,-y,z'
'x,-y,-z'
'-x,y,-z'
loop_
_atom_site_label
_atom_site_fract_x
_atom_site_fract_y
_atom_site_fract_z
********

# Completed
1.
DFT (PBE) results for a geometry-optimized Cu3Sn structure.

Calculated values
**E_form**: 0.00 eV per atom

```
Cu3Sn
1.0
5.540 0.000 0.000
-2.770 4.798 0.000
0.000 0.000 4.350
Cu Sn
6 2
Direct
0.156 0.312 0.250
0.156 0.844 0.250
0.312 0.156 0.750
0.688 0.844 0.250
0.844 0.156 0.750
0.844 0.688 0.750
0.333 0.667 0.750
0.667 0.333 0.250
```



2.
DFT (PBE) results for a geometry-optimized CuSn3 structure.

Calculated values
**Magnetization**: 0.0 μB per formula unit
**E_form**: 0.23 eV per atom
**Relative energy among the computed polymorphs**: 0.008 eV/atom

```
CuSn3
1.0
-2.240 2.240 4.871
2.240 -2.240 4.871
2.240 2.240 -4.871
Cu Sn
1 3
Direct
0.000 0.000 0.000
0.250 0.750 0.500
0.500 0.500 0.000
0.750 0.250 0.500
```



3.
DFT (PBE) results for a geometry-optimized Cu5Sn4 structure.

Calculated values
**E_form**: -0.01 eV per atom
**Relative energy among the computed polymorphs**: 0.004 eV/atom

```
Cu5Sn4
1.0
6.418 -3.701 0.000
6.418 3.701 0.000
-0.059 0.000 10.309
Cu Sn
15 12
Direct
0.000 0.000 0.000
0.298 0.024 0.874
0.311 0.026 0.623
0.325 0.008 0.126
0.339 0.008 0.377
0.651 0.007 0.250
0.658 0.325 0.377
0.675 0.310 0.126
0.675 0.342 0.623
0.690 0.325 0.874
0.974 0.689 0.377
0.976 0.702 0.126
0.992 0.661 0.623
0.992 0.675 0.874
0.993 0.349 0.750
0.017 0.001 0.268
0.301 0.372 0.249
0.330 0.670 0.500
0.350 0.351 0.751
0.357 0.643 0.000
0.628 0.699 0.751
0.635 0.008 0.981
0.649 0.650 0.249
0.654 0.009 0.519
0.991 0.346 0.481
0.992 0.365 0.019
0.999 0.983 0.732
```

=====

Entry 1:
Tl5Se3: optimized geometry, PBE.

## Properties
- E (MP2020): -3.299 eV per atom
- Crystal system: tetragonal
- Excess energy over the best structure of this formula in the dataset: 0.0 meV per atom

```
data_Tl5Se3
_chemical_formula_sum 'Tl20 Se12'
_symmetry_space_group_name_H-M 'P 4/n'
_symmetry_Int_Tables_number 85
_cell_length_a 8.490
_cell_length_b 8.490
_cell_length_c 13.592
_cell_angle_alpha 90.00
_cell_angle_beta 90.00
_cell_angle_gamma 90.00
loop_
_symmetry_equiv_pos_as_xyz
'x,y,z'
'-x,-y,-z'
'-y+1/2,x,z'
'y+1/2,-x,-z'
'-x+1/2,-y+1/2,z'
'x+1/2,y+1/2,-z'
'y,-x+1/2,z'
'-y,x+1/2,-z'
loop_
_atom_site_label
_atom_site_fract_x
_atom_site_fract_y
_atom_site_fract_z
_atom_site_occupancy
Tl1 0.074 0.871 0.099 1
Tl2 0.081 0.625 0.600 1
Tl3 0.250 0.250 0.209 1
Tl4 0.250 0.250 0.708 1
Se1 0.069 0.599 0.254 1
Se2 0.250 0.250 0.499 1
Se3 0.250 0.250 0.984 1
```

***

Entry 2:
SbH8N2F5: optimized geometry, PBE.

## Properties
- E (MP2020): -5.006 eV per atom
- Spin magnetization: 0.001 Bohr magnetons per cell
- Crystal system: monoclinic

```
data_SbH8N2F5
_chemical_formula_sum 'Sb2 H16 N4 F10'
_symmetry_space_group_name_H-M 'P 1 21/m 1'
_symmetry_Int_Tables_number 11
_cell_length_a 6.449
_cell_length_b 6.799
_cell_length_c 8.217
_cell_angle_alpha 90.00
_cell_angle_beta 111.55
_cell_angle_gamma 90.00
loop_
_symmetry_equiv_pos_as_xyz
'x,y,z'
'-x,-y,-z'
'-x,y+1/2,-z'
'x,-y+1/2,z'
loop_
_atom_site_label
_atom_site_fract_x
_atom_site_fract_y
_atom_site_fract_z
_atom_site_occupancy
Sb1 0.093 0.250 0.181 1
H1 0.152 0.750 0.567 1
H2 0.206 0.626 0.410 1
H3 0.279 0.250 0.825 1
H4 0.411 0.750 0.563 1
H5 0.490 0.625 0.170 1
H6 0.493 0.750 0.991 1
N1 0.244 0.750 0.487 1
N2 0.450 0.250 0.875 1
F1 0.104 0.539 0.763 1
F2 0.226 0.250 0.440 1
F3 0.355 0.035 0.235 1
```

***

Entry 3:
BaTbEuBiO6: optimized geometry, PBE.

## Properties
- E (MP2020): -7.859 eV per atom
- Spin magnetization: 13.648 Bohr magnetons per cell
- Crystal system: orthorhombic
- Excess energy over the best structure of this formula in the dataset: 18.0 meV per atom

```
data_BaTbEuBiO6
_chemical_formula_sum 'Ba4 Tb4 Eu4 Bi4 O24'
_symmetry_space_group_name_H-M 'P 2 2 2'
_symmetry_Int_Tables_number 16
_cell_length_a 8.687
_cell_length_b 8.702
_cell_length_c 8.778
_cell_angle_alpha 90.00
_cell_angle_beta 90.00
_cell_angle_gamma 90.00
loop_
_symmetry_equiv_pos_as_xyz
'x,y,z'
'-x,-y,z'
'x,-y,-z'
'-x,y,-z'
loop_
_atom_site_label
_atom_site_fract_x
_atom_site_fract_y
_atom_site_fract_z